I already had an OCC lip brush that came in my lip tar set. Side note: lip tars are basically a hybrid between a lipstick and and a gloss, and one of my favorite lip products because you can mix them to create your own colors and they last a really long time on the lip. More recently I purchased from OCC their Brush #001: Large Powder Brush, Brush # 011: Small Powder/Blush Brush, and Brush #004: Tapered Blending Brush.
Pros: High quality synthetic fibers, sturdy handles, good handle length, soft bristles, brush head shape is ideal for professional application
Cons: For some, it will be price, these are not cheap brushes, but I'm of the firm belief that you often get what you pay for, and I believe these are worth the price. I also think OCC should do a better job of showcasing the brushes on their site, better pictures, more in depth description, etc. On their site they look like they are nothing special, but when you get them in your hands, they are truly spectacular.
The company may not like this part of my review, but I chose to showcase the brushes along side a less expensive brand simply to give you a frame of reference as to the size of the brush. I feel many of you may have these less expensive brushes in your collection, so you can really see the size and evaluate for yourself if this is something you want to purchase. Again, this comparison is only to show size.
These are the brushes:
Note the tapered head on the large powder brush.
The nice full head on this brush is ideal for both face and body. I use it to apply bronzer, dust off any excess powder and even at times, depending on the look I am going for, a sheer application of blush.
Above is the small powder/blush brush. This has become my go to blush brush. I love it for precise placement of both cream and powder blush on the cheeks. Because of it's size it also fits nicely in the hollows of the cheeks if you want to contour with it. I use this brush almost daily.
Above is a side by side comparison of the large and small powder brushes. Note the difference in head shape. The smaller is flatter, though slightly rounded, while the larger comes to a tip.
Above is the lip brush. This is ideal for applying lipstick, lip tars, and gloss. I almost always prefer to apply all three with a brush, as I find gloss application comes out shinier and more even with a brush. Applying lipstick with this brush allows for a more precise application.
As mentioned above, I wanted to show you a size comparison. Above, I paired the OCC small powder/blush brush with a Real Techniques buffing brush. While the Real Techniques brush has a flatter head, and wider handle, they are approximately the same size.
Note the density of the bristles
Again, I've paired the OCC brush along side a Real Techniques brush. These are both large powder brushes. As you can see, the OCC brush is a bit longer, and the head is more tapered.
Inserted here: crystal structures >
<<<
Run one
A geometry-optimized Ca3AlHg structure. Source: the Alexandria database, functional GGA-PBE.

Unit cell a=5.3587 b=5.3577 c=10.6750 alpha=90.00 beta=75.46 gamma=90.00
Sites, in units of the cell vectors:
Ca: 0.7533 0.2500 0.1417
Ca: 0.8950 0.7500 0.8583
Ca: 0.3964 0.2500 0.8556
Ca: 0.2520 0.7500 0.1444
Ca: 0.0738 0.7500 0.5007
Ca: 0.5745 0.2500 0.4993
Al: 0.6667 0.7500 0.3150
Al: 0.9817 0.2500 0.6850
Hg: 0.1662 0.2500 0.3160
Hg: 0.4822 0.7500 0.6840

Output
- Crystal system: orthorhombic
- Calculated density: 3.9 g/cm3
- M_tot: 0.000 μB/f.u.
- Space group: No. 63

***

Run two
A geometry-optimized Ca3AlHg structure. Source: the Alexandria database, functional GGA-PBE.

Unit cell a=5.8653 b=5.8653 c=5.8653 alpha=90.00 beta=90.00 gamma=90.00
Sites, in units of the cell vectors:
Al: 0.0000 0.0000 0.0000
Ca: 0.0000 0.5000 0.0000
Ca: 0.5000 0.0000 0.0000
Ca: 0.0000 0.0000 0.5000
Hg: 0.5000 0.5000 0.5000

Output
- Crystal system: cubic
- Calculated density: 2.9 g/cm3
- M_tot: 0.000 μB/f.u.
- Space group: No. 221

***

Tell me which of them is the least stable. Sure, it is run two.

***

Run one
A geometry-optimized Ca2Al2Hg structure. Source: the Alexandria database, functional GGA-PBE.

Unit cell a=8.8307 b=8.8307 c=3.6659 alpha=90.00 beta=90.00 gamma=90.00
Sites, in units of the cell vectors:
Ca: 0.8124 0.6876 0.0000
Ca: 0.6876 0.1876 0.0000
Ca: 0.3124 0.8124 0.0000
Ca: 0.1876 0.3124 0.0000
Al: 0.1027 0.6027 0.5000
Al: 0.8973 0.3973 0.5000
Al: 0.6027 0.8973 0.5000
Al: 0.3973 0.1027 0.5000
Hg: 0.0000 0.0000 0.0000
Hg: 0.5000 0.5000 0.0000

Output
- Crystal system: tetragonal
- Calculated density: 3.9 g/cm3
- M_tot: 0.000 μB/f.u.
- Space group: No. 127

***

Run two
A geometry-optimized Ca2Al2Hg structure. Source: the Alexandria database, functional GGA-PBE.

Unit cell a=4.7268 b=4.7268 c=7.3341 alpha=71.20 beta=71.20 gamma=90.00
Sites, in units of the cell vectors:
Hg: 0.0000 0.0000 0.0000
Ca: 0.2500 0.7500 0.5000
Ca: 0.7500 0.2500 0.5000
Al: 0.5933 0.5933 0.8135
Al: 0.4067 0.4067 0.1865

Output
- Crystal system: tetragonal
- Calculated density: 3.8 g/cm3
- M_tot: 0.000 μB/f.u.
- Space group: No. 139

***

Tell me which of them is the least stable. Sure, it is run two.

***

Run one
A geometry-optimized CaPmAlHg structure. Source: the Alexandria database, functional GGA-PBE.

Unit cell a=3.6809 b=3.6809 c=7.8107 alpha=90.00 beta=90.00 gamma=90.00
Sites, in units of the cell vectors:
Hg: 0.5000 0.5000 0.6115
Pm: 0.0000 0.0000 0.3482
Ca: 0.0000 0.0000 0.8601
Al: 0.5000 0.5000 0.1081

Output
- Crystal system: tetragonal
- Calculated density: 6.5 g/cm3
- M_tot: 0.000 μB/f.u.
- Space group: No. 99

***

Run two
A geometry-optimized CaPmAlHg structure. Source: the Alexandria database, functional GGA-PBE.

Unit cell a=5.3253 b=5.3253 c=5.3253 alpha=60.00 beta=60.00 gamma=60.00
Sites, in units of the cell vectors:
>>>
The entry goes on >
The bristles have the perfect amount of bend to them.
Note the Real Techniques brush has a fuller head, but that is largely due to the different shape of the bristles.
Here I've compared the OCC blending brush to a Too Faced tapered blending brush. Note how much longer the OCC brush is. The head on the OCC brush is also tapered, while the Too Faced bristles are not.
For me, this tapered blending brush is a stand out among my entire brush collection, and I am starting to wonder how I ever lived without it. It blends out crease color with perfection.
This comparison is between the OCC lip brush and an E.L.F. concealer brush. Although the E.L.F. brush is meant for concealer, I often use it as a lip brush. Note the bristles on the OCC brush are much longer, and more tapered.
One complaint I sometimes hear about synthetic brushes is that they don't pick up powder products as well as animal hair brushes. With the OCC brushes, this was not the case at all. These brushes pick up powder just as well as any other brush on the market, and would stand up and hold their own against the top of the line by any brand.
In conclusion, these are solid brushes. I'm really happy I purchased them, and I encourage you to try them out. Even if you only purchase one, get the one you think you'll use the most, and trust me you will be wowed by the quality. These are truly excellent brushes, and they absolutely make the case that you really don't need to harm animals to get a superior quality brush. OCC is a vegan brand, so if you are interested in cruelty free cosmetics, I encourage you to check out the rest of their products as well.
Their site is: www.occmakeup.com which is where I purchased all of these brushes for review.
Thank you for the thorough review and side by side comparisons. This was SUPER helpful!